Northern Builders
Tarlac City, Tarlac
About Northern Builders
NORTHERN BUILDERS dates back its beginnings in 1986. Motivated by the desire to align his ambitions in the construction industry, the young owner applied for a PCAB License in order to fulfill his hopes and dreams of one day joining the leagues of accredited constructors in the Philippines.
By June 1986, the PCAB License with category D was issued to the company. The humble beginnings of the company started with just the couple doing everything from paper works to project supervision, planning and implementation.
Through hard work, dedication and commitment, the young owner strived hard. Rising after each fall didn’t deter the drive of the couple to continue and persevere. Their beginning was never a bed of roses, instead gargantuan trials haunted the company owners for quite some time.
Through hard work, they were able to start on their own. Their first project with the DPWH was a ₱23,000.00 gravelling in 1987. Other similar small projects were awarded but meagerly and scantily. With their little savings, the couple was able to acquire their first set of old and dilapidated equipments… a tandem roller, a road grader and a water truck. The young owner pursued and persisted to undertake the complete repair and overhaul of his equipments. In time, the company was able to compete and bid for a small share of the local projects.
In 1988, the company ventured with a group of partners in order to be able to bid more competitively on projects from the Provincial Government of Tarlac. But the partnership lasted only for 2 years. However, the dissolution of the partnership did not discourage the young owner from venturing and undertaking on his own. Learning from experience, with drive and motivation, the determined young owner joined the biddings of the DPWH in the regional level. Exhausting all possible avenues, he diligently persevered within the regional arena of bidders.
By 1991, the company suffered its first major setback when its 4 desilting projects in Pampanga were listed as among the “Un-Booked projects” of the DPWH. Consequently, payments were cancelled. The case was elevated to court and settlement was done only after 12 years. Again, with firm determination, overcoming dismay and discouragement, the owner turned his disappointment into inspiration by striving and working harder.
In September 1, 1992, the company’s Constructing License was upgraded to Category C. This time, the company was tenaciously determined to pursue and persist in the tight competitive world of the construction industry.
The company was awarded it’s Category B License on March 3, 1993. This time the company focused on improving its manpower by hiring a pool of talented management and technical staff. Consistent with the owner’s unwavering desire to continuously grow and improve, the company was qualified to join and undertake projects in the national level.
By 1994, the first break of the company was achieved when it was awarded 3 sections from the Megadike projects in Sta. Rita, Pampanga.
And once again, the Philippines Constructors’ Accreditation Board issued the Category A License to the company on April 3, 1995. Implementing a strict financial management system, the company continued to grow. Equipment acquisitions became a major priority. The company succeeded in its field of endeavor. Innovations, quality systems management, and pioneering engineering technologies were upgraded.
Finally, by August of 1996, after 10 years in the construction industry, the company was awarded its Triple “A” License. This time there was an even more aggressive thrust to do construction anywhere within the archipelago. The company hired and increased its pool of talented manpower by hiring the best minds who had extensive engineering experience in design, construction, maintenance, concrete works and management skills both for its horizontal and vertical projects.
The next 15 years witnessed the phenomenal growth of the company by acquiring 2 more additional equipment yard to house and accommodate the increasing number of their pool of equipments. The company aggressively embarked in its modernization thrust to also upgrade its sets of concrete batching plants. Offices were renovated and additional buildings constructed to house its increasing pool of technical and management staff. Departments and systems were set up to streamline the management flow process, thereby increasing management efficiency. The company’s method of management and construction application has enabled many satisfied clients to save on valuable construction time and company finances. Project delays were significantly reduced due to its efficient management method. Ten years of full blast in engineering production paved the way to achieve the company’s good reputation in the industry. Delivering excellent performance, quality and value, became the core driving mission of the company.
By December 2010, NORTHERN BUILDERS received its ISO 9001:2008 Certificate Registration No. 441 100 112057. An accomplishment that will further insure perfection of its management system. The company can truly boast, that it is capable of handling all aspects of quality construction works. Heavy and light equipments can be mobilized and respond to urgent emergencies anytime and anywhere within a period of short notice. With its excellent team work complimented with good working rapport in all levels and areas of the organization, the company is highly optimistic in giving its clients the best performance of quality construction work.
This is NORTHERN BUILDERS after 32 years, striving to even become better, working harder in order to achieve its hopes and ideals but above all contributing the best that it can offer in the construction industry of the country.
Company Details
Between two parts of the piece: calculated crystals:
~~~
Entry 1:
Compound: In2Ir2Pb
Source: the Alexandria database
Functional: PBE
Structure: relaxed

Output
size of the total moment	0.0	μB/f.u.
ΔH_f (0 K)	0.3262	eV/atom
symmetry	I4/mmm (139)

a b c (Å): 6.5244 6.5244 6.5244
angles (deg): 140.15 140.15 57.62
Element x y z (fractional)
In 0.1241 0.1241 0.0000
In 0.8759 0.8759 0.0000
Ir 0.2500 0.7500 0.5000
Ir 0.7500 0.2500 0.5000
Pb 0.5000 0.5000 0.0000

Entry 2:
Compound: PmGa2TcO8
Source: the Alexandria database
Functional: PBE
Structure: relaxed

Output
size of the total moment	0.1	μB/f.u.
raw formation energy	-1774	meV/atom
symmetry	P2/m (10)

a b c (Å): 4.7473 6.4439 4.7542
angles (deg): 90.00 91.29 90.00
Element x y z (fractional)
Pm 0.0000 0.0000 0.0000
Ga 0.5000 0.2474 0.5000
Ga 0.5000 0.7526 0.5000
Tc 0.0000 0.5000 0.0000
O 0.2030 0.2943 0.2007
O 0.2030 0.7057 0.2007
O 0.2899 0.5000 0.7081
O 0.3247 0.0000 0.6724
O 0.6753 0.0000 0.3276
O 0.7101 0.5000 0.2919
O 0.7970 0.2943 0.7993
O 0.7970 0.7057 0.7993

Entry 3:
Compound: K2Ga4Au5
Source: the Alexandria database
Functional: PBE
Structure: relaxed

Output
size of the total moment	0.0	μB/f.u.
ΔH_f (0 K)	-0.3027	eV/atom
symmetry	Fmmm (69)

a b c (Å): 9.2349 8.0597 6.4055
angles (deg): 78.43 58.76 42.81
Element x y z (fractional)
K 0.1352 0.1352 0.8648
K 0.8648 0.8648 0.1352
Ga 0.2109 0.5324 0.4676
Ga 0.4676 0.7891 0.2109
Ga 0.5324 0.2109 0.7891
Ga 0.7891 0.4676 0.5324
Au 0.0000 0.0000 0.5000
Au 0.2500 0.2500 0.2500
Au 0.5000 0.5000 0.0000
Au 0.5000 0.5000 0.5000
Au 0.7500 0.7500 0.7500

Entry 4:
Compound: Ba2ZrFe
Source: the Alexandria database
Functional: PBE
Structure: relaxed

Output
distance to the lowest polymorph of the same formula	563	meV/atom
size of the total moment	3.5	μB/f.u.
ΔH_f (0 K)	0.9458	eV/atom
symmetry	R-3m (166)

a b c (Å): 11.2086 11.2086 11.2086
angles (deg): 18.65 18.65 18.65
Element x y z (fractional)
Ba 0.2412 0.2412 0.2412
Ba 0.7588 0.7588 0.7588
Zr 0.0000 0.0000 0.0000
Fe 0.5000 0.5000 0.5000

Entry 5:
Compound: ScAs2BrCl
Source: the Alexandria database
Functional: PBE
Structure: relaxed

Output
distance to the lowest polymorph of the same formula	466	meV/atom
size of the total moment	0.0	μB/f.u.
raw formation energy	385	meV/atom
symmetry	P4/mmm (123)

a b c (Å): 4.6948 4.6948 5.8898
angles (deg): 90.00 90.00 90.00
Element x y z (fractional)
Sc 0.0000 0.0000 0.0000
As 0.0000 0.5000 0.5000
As 0.5000 0.0000 0.5000
Br 0.5000 0.5000 0.0000
Cl 0.5000 0.5000 0.5000

Entry 6:
Compound: NaPu5Br12
Source: the Alexandria database
Functional: PBE
Structure: relaxed

Output
size of the total moment	6.7	μB/f.u.
raw formation energy	-1496	meV/atom
symmetry	C2/m (12)

a b c (Å): 7.4086 7.4086 14.0756
angles (deg): 90.01 90.01 120.13
Element x y z (fractional)
Na 0.0000 0.0000 0.0000
Pu 0.1666 0.8334 0.5000
Pu 0.3334 0.6666 0.0000
Pu 0.5000 0.5000 0.5000
Pu 0.6666 0.3334 0.0000
Pu 0.8334 0.1666 0.5000
Br 0.9996 0.3402 0.8835
Br 0.0004 0.6598 0.1165
Br 0.1664 0.1664 0.6187
Br 0.1668 0.5003 0.3815
Br 0.3402 0.9996 0.8835
~~~
Office Address
Km. 131, Carlos P. Romulo Highway, Brgy. Baras-Baras, Tarlac City, Tarlac
Company Size
501-1000 Employees